People with a knack for design are rarely the same people who have the skill set of an elite financier. Sure, there are notable exceptions, real and fictional (think Steve Jobs, Elon Musk, or Tony Stark). But the fame of these figures is a testament to how rare it is for “design genius” and “finance tycoon” to collide in a single individual.

Two Essential Pillars for Successful Product Development

Successful product development rests on two equally important pillars: applied design and innovation, and investment capital. On its own, the first pillar is never enough to guarantee a product’s success. On the other hand, no matter how ground-breaking (and market-viable) the second pillar might be, it too lacks the strength to stand on its own.

Here the article breaks off for crystal structures:
+++
# 1
# GaH18I3N7 | the Materials Project database | PBE-GGA | relaxed
# ΔE_f: -0.34 eV/atom
# total magnetization: 3.0 μB/f.u.
data_GaH18I3N7
_symmetry_space_group_name_H-M 'P n m a'
_symmetry_Int_Tables_number 62
_symmetry_space_group_name_Hall '-P 2ac 2n'
_cell_length_a 13.9179
_cell_length_b 7.8424
_cell_length_c 15.5512
_cell_angle_alpha 90.00
_cell_angle_beta 90.00
_cell_angle_gamma 90.00
loop_
_atom_site_label
_atom_site_fract_x
_atom_site_fract_y
_atom_site_fract_z
Ga1 0.2246 0.2500 0.0981
H1 0.0745 0.2500 0.9937
H2 0.0760 0.1034 0.1789
H3 0.1076 0.5192 0.0958
H4 0.1127 0.5761 0.5751
H5 0.1274 0.7500 0.7060
H6 0.1609 0.1449 0.9443
H7 0.1704 0.5239 0.1855
H8 0.1720 0.5677 0.4838
H9 0.2032 0.0583 0.5639
H10 0.2163 0.6446 0.7518
I1 0.0518 0.2500 0.3596
I2 0.1100 0.7500 0.9608
I3 0.1833 0.2500 0.7352
N1 0.1004 0.7500 0.3756
N2 0.1336 0.0569 0.1448
N3 0.1478 0.2500 0.9819
N4 0.1807 0.5627 0.5493
N5 0.2011 0.7500 0.7152

# 2
# Mg3ZnO4 | the Materials Project database | PBE-GGA | relaxed
# ΔE_f: -2.71 eV/atom
# total magnetization: 0.0 μB/f.u.
data_Mg3ZnO4
_symmetry_space_group_name_H-M 'P m -3 m'
_symmetry_Int_Tables_number 221
_symmetry_space_group_name_Hall '-P 4 2 3'
_cell_length_a 4.2801
_cell_length_b 4.2801
_cell_length_c 4.2801
_cell_angle_alpha 90.00
_cell_angle_beta 90.00
_cell_angle_gamma 90.00
loop_
_atom_site_label
_atom_site_fract_x
_atom_site_fract_y
_atom_site_fract_z
Mg1 0.0000 0.0000 0.5000
Zn1 0.5000 0.5000 0.5000
O1 0.0000 0.0000 0.0000
O2 0.0000 0.5000 0.5000

# 3
# Ca3Ga3Sn2O12 | the Materials Project database | PBE-GGA | relaxed
# ΔE_f: -2.56 eV/atom
# total magnetization: 0.9 μB/f.u.
data_Ca3Ga3Sn2O12
_symmetry_space_group_name_H-M 'I a -3 d'
_symmetry_Int_Tables_number 230
_symmetry_space_group_name_Hall '-I 4bd 2c 3'
_cell_length_a 12.7721
_cell_length_b 12.7721
_cell_length_c 12.7721
_cell_angle_alpha 90.00
_cell_angle_beta 90.00
_cell_angle_gamma 90.00
loop_
_atom_site_label
_atom_site_fract_x
_atom_site_fract_y
_atom_site_fract_z
Ca1 0.0000 0.2500 0.1250
Ga1 0.0000 0.2500 0.3750
Sn1 0.0000 0.0000 0.0000
O1 0.0295 0.0524 0.6520

# 4
# Y5Ir2 | the Materials Project database | PBE-GGA | relaxed
# ΔE_f: -0.64 eV/atom
# total magnetization: 0.0 μB/f.u.
data_Y5Ir2
_symmetry_space_group_name_H-M 'C 1 2/c 1'
_symmetry_Int_Tables_number 15
_symmetry_space_group_name_Hall '-C 2yc'
_cell_length_a 15.7794
_cell_length_b 6.5493
_cell_length_c 7.2313
_cell_angle_alpha 90.00
_cell_angle_beta 96.75
_cell_angle_gamma 90.00
loop_
_atom_site_label
_atom_site_fract_x
_atom_site_fract_y
_atom_site_fract_z
Y1 0.0000 0.0728 0.2500
Y2 0.0909 0.3792 0.9185
Y3 0.2213 0.0674 0.3189
Ir1 0.1093 0.2185 0.5732

# 5
# U3O8 | the Materials Project database | PBE-GGA | relaxed
# ΔE_f: -3.70 eV/atom
data_U3O8
_symmetry_space_group_name_H-M 'C m c m'
_symmetry_Int_Tables_number 63
_symmetry_space_group_name_Hall '-C 2c 2'
_cell_length_a 7.0837
_cell_length_b 11.5517
_cell_length_c 8.3426
_cell_angle_alpha 90.00
_cell_angle_beta 90.00
+++

For entrepreneurial startups and smaller companies, bringing both pillars together to fund their new product development can be a daunting challenge.

At Pivot International, we’re a one-source product design, development, and manufacturing firm that has seen clients deploy an array of successful strategies for successfully securing funding. With nearly a half-century of experience across fourteen industries, we’ve learned that our clients’ ability to raise capital often depends largely on knowing the funding strategies that are right for their needs.

In this piece, we’ll explore three funding strategies and which will give you the most bang for your buck as determined by whether you’re seeking to raise capital in five-, six-, or seven-figure ranges:

Five-Figure Funding Strategy — Bootstrapping

Funding at this level is often a matter of good old-fashioned “bootstrapping,” or tapping into existing resources, including those of friends and family. In practice, bootstrapping is nothing more than self-funding. By this definition, it can include micro-loans, government- or non-profit grants, or community organizations. Bootstrapping works best for ultra-low complexity (non-technical) products and is most often undertaken with credit cards, small business loans, home equity loans, or a line of credit.

Suppose you’re looking for capital in the $5,000 range. In that case, you want to be sure to identify one of the many micro-loan organizations designed for supporting startups or specific demographics (such as women or minorities). If you visit the Small Business Administration‘s website and use the Loans and Grants search tool, you’ll be able to determine whether you qualify for a grant or a guaranteed loan to help you launch your product.

Six-Figure Funding Strategy — Crowdsourcing

=====
[1]
! Mg2PH7O8 PBE-GGA relaxed; values from VASP
&SYSTEM
  ibrav = 0, nat = 72, ntyp = 4
/
ATOMIC_SPECIES
Mg 24.30 Mg.upf
P 30.97 P.upf
H 1.01 H.upf
O 16.00 O.upf
ATOMIC_POSITIONS angstrom
Mg -0.200 0.165 1.574
Mg -1.564 6.346 6.671
Mg -1.053 9.263 5.126
Mg 0.310 10.271 0.029
Mg 1.751 2.751 10.164
Mg 3.114 3.760 5.067
Mg 3.624 6.676 3.522
Mg 2.261 12.857 8.619
P 1.188 8.857 2.844
P -0.176 10.676 7.941
P 2.237 2.346 2.252
P 0.873 4.165 7.349
H -1.967 8.863 7.574
H -0.603 10.670 2.477
H -0.919 1.483 4.194
H -2.282 5.028 9.291
H -0.784 2.379 8.545
H 0.579 4.133 3.448
H 0.354 2.228 4.724
H -1.010 4.283 9.821
H -0.528 7.828 8.672
H 0.835 11.706 3.575
H 0.620 7.340 5.427
H 1.984 12.194 0.331
H 0.295 0.059 6.962
H 1.658 6.452 1.865
H 0.403 6.570 8.328
H 1.766 12.963 3.231
H 0.077 0.829 9.862
H 1.440 5.683 4.766
H 1.226 1.317 6.618
H 2.589 5.194 1.521
H 3.070 8.739 0.372
H 1.707 10.794 5.469
H 1.482 8.890 6.745
H 2.845 10.644 1.648
H 4.343 7.995 0.902
H 2.980 11.539 5.999
H 2.664 2.352 7.716
H 4.028 4.159 2.619
O -1.689 1.919 8.516
O -0.325 4.592 3.419
O -0.575 2.009 4.968
O -1.938 4.502 10.065
O 0.370 7.582 2.453
O -0.993 11.951 7.549
O -0.339 7.340 5.291
O 1.024 12.193 0.194
O -1.069 9.682 8.755
O 0.294 9.852 3.658
O 0.996 1.934 1.419
O -0.368 4.577 6.516
O -0.535 6.886 8.378
O 0.828 12.648 3.282
O 1.615 9.574 1.525
O 0.251 9.960 6.621
O 1.809 3.062 3.572
O 0.446 3.449 8.668
O 1.233 0.375 6.911
O 2.596 6.137 1.815
O 2.429 8.446 3.677
O 1.065 11.088 8.774
O 1.767 3.171 6.535
O 3.130 3.340 1.438
O 1.037 0.829 9.999
O 2.400 5.682 4.903
O 3.054 1.071 2.644
O 1.691 5.440 7.740
O 3.999 8.521 0.128
O 2.635 11.013 5.225
O 2.386 8.430 6.774
O 3.749 11.104 1.677
CELL_PARAMETERS angstrom
4.787 0.000 0.000
0.000 13.022 0.000
-2.727 0.000 10.193
! - Space group: P2_1/c (14)
! - MP2020-corrected energy: -0.221 Ha/atom

[2]
! PaTi PBE-GGA relaxed; values from VASP
&SYSTEM
  ibrav = 0, nat = 2, ntyp = 2
/
ATOMIC_SPECIES
Pa 231.04 Pa.upf
Ti 47.87 Ti.upf
ATOMIC_POSITIONS angstrom
Pa 0.000 0.000 0.000
Ti 1.537 0.887 2.567
CELL_PARAMETERS angstrom
3.074 0.000 0.000
-1.537 2.662 0.000
0.000 0.000 5.133
! - DFT total energy: -8.61 eV/atom
! - Space group: P-6m2 (187)

* * * * *

# GGA-PBE TaCuN2, optimized geometry
# spin magnetization = 0.0 μB per formula unit
# total energy = -104.4 eV for the cell shown
# calculated formation energy = -0.7193 eV per atom
# E (MP2020) = -8.877 eV per atom
data_TaCuN2
_cell_length_a 3.1534
_cell_length_b 3.1534
_cell_length_c 17.5446
_cell_angle_alpha 90.00
_cell_angle_beta 90.00
_cell_angle_gamma 120.00
_symmetry_space_group_name_H-M 'R -3 m'
_symmetry_Int_Tables_number 166
_symmetry_space_group_name_Hall '-R 3 2"'
loop_
_atom_site_label
_atom_site_type_symbol
_atom_site_fract_x
_atom_site_fract_y
_atom_site_fract_z
Ta1 Ta 0.0000 0.0000 0.0000
Cu1 Cu 0.0000 0.0000 0.5000
N1 N 0.0000 0.0000 0.3941

* * * * *

First-principles (PBE) data for a relaxed structure of SmB3O6, as listed in the Materials Project.

Cell and atoms, written as CIF:
=====

Funding in the six-figure range can take several forms. But increasingly, crowdsourcing is proving to be among the most accessible and effective. (And it should be noted that in some cases, crowdsourcing can be a top strategy in the five-figure range as well.) There are now many crowdsourcing platforms to choose from, including Kickstarter, IndieGoGo, and GoFundMe. These platforms have been used to fund many profitable products, including those in the technology sector.

Crowdsourcing is a “strength in numbers” approach built on what can be thought of as a “micro-investment” model. Rather than seeking investment capital from a single individual with deep pockets, crowdsourcing relies on hundreds or even thousands of small donations. For this level of funding, crowdsourcing has the added advantage of letting you bypass the need to commit future equity shares to your investors.

Seven-Figure Funding Strategy — Professional Investors

Medical, industrial, and highly complex consumer products almost always require seven-figure funding. This means you’ll need to go a more traditional route and work with professional investors (angels and venture capitalists). This level of capitalization is a high-stakes game for all parties. For this reason, the bar for proving your product’s market viability will be exceptionally high and will depend on establishing proof of concept.)

Like all elite finance professionals, professional investors make money with money, which means there’s no way around owing your investor a significant portion of your future equity and profits. When pitching to professional investors, many design-savvy and innovative individuals make the mistake of giving a “product presentation,” educating the investor about their product’s features and benefits. Investors are not meeting with you to learn about your product, per se, and it’s essential to come prepared with a very different approach to your pitch presentation.

To identify U.S.-based angel investors, check out Angel Capital Association, which counts more than 330 angel investor groups among their membership. AngelList is another excellent website for connecting entrepreneurs with qualified investors.

Once you secure your funding, you’ll be ready to jump in with both feet to the broader product development process! If you’d like to learn more about how we can help you establish proof of concept and help you take your product from prototype to successful launch, contact us today for a free consultation.